_Input_
-- begin --
12 unconnected molecules or ions with the total composition C48H104O24S8 in a non-equilibrium geometry. Source: the Open Molecules 2025 dataset; level of theory: ωB97M-V/def2-TZVPD.

```
184
Properties=species:S:1:pos:R:3:forces:R:3
S 1.00520 2.73829 7.45168 0.58 -0.59 -0.75
S -9.33030 -4.34406 2.13592 -1.60 0.28 -0.35
S 7.45365 3.93887 0.70049 -1.06 -1.08 3.76
S 7.25337 -2.89006 1.22752 0.84 1.80 0.02
S -4.73463 1.87950 2.64543 0.20 0.81 0.42
S -1.08066 4.43888 -8.21095 -0.03 -0.15 -0.23
S 4.08902 -3.32046 -5.52814 2.26 -0.93 0.11
S -7.42193 -0.20800 -4.10940 1.78 -0.67 -0.58
O -4.63058 1.75059 1.20094 -0.28 0.09 1.63
O -4.41035 0.76978 3.52337 -0.23 1.61 -1.12
O -8.28559 0.20553 -3.00688 0.85 -0.68 -1.83
O 2.20760 2.67380 6.57259 -2.92 0.25 2.72
O -1.90285 4.97109 -9.57821 1.53 -0.66 1.10
O -7.74575 -4.80466 2.15414 -3.72 -0.06 2.65
O 6.62335 -1.88370 2.10688 1.16 -2.64 -1.33
O 6.48676 3.50272 -0.28545 1.88 0.76 0.35
O 6.28487 -4.18955 1.03134 -1.15 3.91 0.42
O 7.96442 5.29368 0.86388 -0.58 -1.55 -1.03
O -0.22962 3.30909 -8.58618 -1.83 1.89 0.26
O 0.06732 3.85562 7.37798 1.55 -1.24 0.34
O 8.63005 -3.37954 1.43398 -2.53 0.85 0.09
O 8.68414 2.88204 0.80624 -1.38 0.11 -1.17
O -9.54298 -2.90391 2.35898 1.15 -2.56 -0.78
O 2.52648 -2.97294 -5.88288 2.81 -1.92 -0.84
O 4.75580 -2.15354 -4.90722 -1.72 -2.06 -1.27
O -3.82122 3.17359 3.11420 -0.61 -1.50 0.26
O 4.74127 -4.00866 -6.67708 -2.18 2.06 2.30
O -2.07776 4.32799 -7.15007 1.36 0.05 -1.28
O 1.49578 2.48280 9.03408 0.96 0.96 -2.83
O -6.76571 -1.52936 -4.12935 -1.31 2.73 0.25
O -10.08204 -5.25593 2.98642 1.67 0.92 -0.95
O -8.16972 -0.13763 -5.60293 2.21 -1.20 2.34
C -1.53943 -11.84777 2.58544 -0.17 -0.18 -1.23
C 5.86123 -6.49816 0.87170 -1.01 -0.35 0.37
C 1.24133 -11.84898 2.27884 1.11 -0.89 -0.63
C -2.52391 5.19401 2.74298 -0.33 -0.57 -0.52
C 0.67185 -3.84864 1.05205 -0.09 -0.02 0.38
C -9.33463 0.58248 -5.66439 -1.82 1.63 0.02
C 6.72221 3.43853 2.38877 0.20 0.53 -1.37
C -0.81576 -10.71459 2.83554 0.39 0.34 0.55
C 0.52017 -12.97043 1.94545 -0.33 -0.91 -0.06
C 2.68281 -7.14049 6.58723 0.52 0.37 -0.25
C -0.96285 9.59526 -2.38296 0.97 -0.26 0.54
C -3.24554 8.73552 -2.47375 -0.16 0.44 -0.16
C 1.42868 2.42133 11.39671 -0.04 0.45 -0.45
C -6.36396 2.54110 3.12110 -0.06 -0.03 -0.62
C 9.78152 3.19334 1.65810 1.74 -0.22 0.39
C -6.23505 -5.48143 0.56110 0.42 1.18 0.06
C -6.85542 -4.25170 1.27571 1.59 -0.21 -1.83
C -9.74244 -4.85183 0.38170 0.60 -0.32 0.11
C 2.18755 8.60238 -1.51189 -0.83 -0.04 -0.43
C 0.62925 2.72184 10.10758 -1.08 -1.47 1.88
C -2.37214 9.83835 -1.86864 -0.05 -0.54 -0.60
C 0.56517 -10.77069 2.69568 -0.47 2.31 0.96
C 0.02913 5.87159 -7.84219 -1.25 -0.55 -0.32
C -0.84644 -12.94956 2.09537 -0.52 -0.63 0.38
C 0.18604 -2.41799 0.99055 -0.84 0.15 -0.55
C 1.09656 -1.42337 0.37916 1.39 0.97 -1.65
C 5.06675 -5.90127 6.06577 -0.41 0.40 -0.77
C 0.39794 -2.11996 -5.86399 0.91 -0.12 0.08
C -9.69124 0.64993 -7.10024 -0.36 -0.55 -1.25
C -3.64649 4.27601 2.22879 0.71 0.54 -0.77
C 1.57300 9.92649 -1.96138 0.74 0.97 1.52
C 3.88029 -5.27077 5.70183 1.28 1.03 -0.31
C -2.76596 6.13272 -9.42410 0.04 0.16 0.55
C 1.75559 -2.12591 -5.09634 -1.91 1.62 0.02
C 5.06414 -7.15198 6.63025 0.52 0.14 -0.14
C 3.93254 -4.66176 -4.23816 0.02 0.88 -0.99
C 0.01854 1.21087 7.22737 0.48 0.51 -0.06
C 3.87044 -7.83686 6.90113 -0.35 1.81 -0.15
C 6.86389 -5.39901 1.07937 2.14 -3.72 0.04
C 2.69400 -5.84135 5.96013 -1.19 -2.85 0.93
C 0.40200 -0.18975 -0.31356 0.82 -0.41 1.62
C 0.11153 10.24654 -1.50810 0.57 0.03 -1.97
C 1.42887 0.84148 -0.76535 -1.08 1.26 -1.06
C 7.13775 -2.22834 -0.46217 0.20 -1.24 1.03
C -6.17188 1.18685 -4.43902 -0.85 -1.22 0.50
C -2.53674 7.08797 -10.58652 0.94 -0.95 -0.79
C 10.26882 1.91896 2.44952 0.35 1.33 -1.02
C 0.77089 2.11524 -1.43230 1.01 -0.39 1.02
H -2.61798 -11.84968 2.52964 -0.12 -0.02 0.51
H 1.57593 -2.49598 -4.08694 0.34 -0.16 0.11
H 0.02730 -3.14092 -5.77257 -0.41 0.16 -0.09
H 6.07352 -2.19410 -0.69528 0.20 0.43 -0.06
H 7.68560 -5.49975 0.37032 0.04 0.19 -0.30
-- stop --
_What to do_
Please quote the part of the listing earlier on that starts with the line with "-1.55 -1.03" and stops after the one with "-0.81576 -10.71459".
_Reply_
O 7.96442 5.29368 0.86388 -0.58 -1.55 -1.03
O -0.22962 3.30909 -8.58618 -1.83 1.89 0.26
O 0.06732 3.85562 7.37798 1.55 -1.24 0.34
O 8.63005 -3.37954 1.43398 -2.53 0.85 0.09
O 8.68414 2.88204 0.80624 -1.38 0.11 -1.17
O -9.54298 -2.90391 2.35898 1.15 -2.56 -0.78
O 2.52648 -2.97294 -5.88288 2.81 -1.92 -0.84
O 4.75580 -2.15354 -4.90722 -1.72 -2.06 -1.27
O -3.82122 3.17359 3.11420 -0.61 -1.50 0.26
O 4.74127 -4.00866 -6.67708 -2.18 2.06 2.30
O -2.07776 4.32799 -7.15007 1.36 0.05 -1.28
O 1.49578 2.48280 9.03408 0.96 0.96 -2.83
O -6.76571 -1.52936 -4.12935 -1.31 2.73 0.25
O -10.08204 -5.25593 2.98642 1.67 0.92 -0.95
O -8.16972 -0.13763 -5.60293 2.21 -1.20 2.34
C -1.53943 -11.84777 2.58544 -0.17 -0.18 -1.23
C 5.86123 -6.49816 0.87170 -1.01 -0.35 0.37
C 1.24133 -11.84898 2.27884 1.11 -0.89 -0.63
C -2.52391 5.19401 2.74298 -0.33 -0.57 -0.52
C 0.67185 -3.84864 1.05205 -0.09 -0.02 0.38
C -9.33463 0.58248 -5.66439 -1.82 1.63 0.02
C 6.72221 3.43853 2.38877 0.20 0.53 -1.37
C -0.81576 -10.71459 2.83554 0.39 0.34 0.55